CDFW: Fresno County Residents Sold Striped Bass Illegally
_Between two parts of the entry: calculated crystals_
No. 1
Below is a relaxed structure of HoMnZnS4, with properties calculated at the PBE level.

a b c (Å): 7.530 7.435 7.435
angles (deg): 61.49 59.57 59.57
Last column: magnetic moment on the atom in μB.
Sites, in units of the cell vectors:
S (0.740, 0.783, 0.736)  0.00
S (0.740, 0.236, 0.283)  0.00
Zn (0.623, 0.627, 0.127)  0.03
Mn (0.500, 0.000, 0.500)  3.69
Ho (0.000, 0.500, 0.500)  0.03
S (0.234, 0.766, 0.266)  -0.01
Mn (0.000, 0.000, 0.500)  3.69
Zn (0.377, 0.373, 0.873)  0.03
S (0.267, 0.234, 0.734)  -0.01
S (0.260, 0.217, 0.264)  0.00
Ho (0.000, 0.000, 0.000)  0.03
S (0.733, 0.766, 0.266)  -0.01
S (0.260, 0.764, 0.717)  0.00
S (0.766, 0.234, 0.734)  -0.01

Values from the calculation:
Uncorrected formation energy ... -1.081 eV per atom
Density ... 4.6 Mg/m³

No. 2
Below is a relaxed structure of Ho2ZrMnS6, with properties calculated at the PBE level.

a b c (Å): 6.656 6.656 7.095
angles (deg): 62.03 62.02 60.00
Last column: magnetic moment on the atom in μB.
Sites, in units of the cell vectors:
S (0.093, 0.446, 0.758)  0.02
Ho (0.517, 0.517, 0.449)  0.05
S (0.939, 0.599, 0.254)  0.02
S (0.702, 0.093, 0.758)  0.02
Ho (0.019, 0.019, 0.942)  0.02
S (0.599, 0.208, 0.254)  0.02
Mn (0.316, 0.316, 0.052)  4.23
S (0.446, 0.702, 0.758)  0.02
S (0.208, 0.939, 0.254)  0.02
Zr (0.821, 0.821, 0.537)  0.12

Values from the calculation:
Uncorrected formation energy ... -1.563 eV per atom
Density ... 4.9 Mg/m³

No. 3
Below is a relaxed structure of HoMnSb2, with properties calculated at the PBE level.

a b c (Å): 3.509 3.509 9.986
angles (deg): 79.88 79.88 60.00
Last column: magnetic moment on the atom in μB.
Sites, in units of the cell vectors:
Sb (0.106, 0.106, 0.683)  -0.10
Ho (0.000, 0.000, 0.000)  0.03
Mn (0.500, 0.500, 0.500)  2.79
Sb (0.894, 0.894, 0.317)  -0.10

Values from the calculation:
Uncorrected formation energy ... 0.059 eV per atom
Density ... 7.4 Mg/m³

No. 4
Below is a relaxed structure of Ho2ScMn, with properties calculated at the PBE level.

a b c (Å): 3.474 3.474 8.188
angles (deg): 90.00 90.00 90.00
Last column: magnetic moment on the atom in μB.
Sites, in units of the cell vectors:
Ho (0.000, 0.000, 0.787)  -0.10
Mn (0.500, 0.500, 0.000)  3.26
Sc (0.500, 0.500, 0.500)  0.38
Ho (0.000, 0.000, 0.213)  -0.10

Values from the calculation:
DFT formation energy ... 0.126 eV/atom
Energy relative to the lowest polymorph listed for this composition ... 0 meV per atom
Density ... 7.2 Mg/m³

No. 5
Below is a relaxed structure of HoScMn4, with properties calculated at the PBE level.

a b c (Å): 5.001 5.001 5.001
angles (deg): 60.00 60.00 60.00
Last column: magnetic moment on the atom in μB.
Sites, in units of the cell vectors:
Mn (0.625, 0.124, 0.625)  0.40
Mn (0.625, 0.625, 0.625)  0.40
Mn (0.124, 0.625, 0.625)  0.40
Ho (0.250, 0.250, 0.250)  -0.10
Mn (0.625, 0.625, 0.124)  0.40
Sc (0.000, 0.000, 0.000)  -0.09

Values from the calculation:
DFT formation energy ... 0.011 eV/atom
Density ... 8.1 Mg/m³

No. 6
The following press release is courtesy of the California Department of Fish and Wildlife:
Wildlife officers have arrested two suspects for trafficking striped bass in Fresno County, the California Department of Fish and Wildlife (CDFW) announced.
Leepo Her, 32, and Kue Her, 35, both of Fresno, were arrested Thursday morning, Dec. 8, on charges of illegally selling striped bass on the black market.
Over the last year, wildlife officers checked the two men on several occasions as they were fishing throughout California’s Central Valley. Both men were frequently found to be in violation of various laws, including possession of gross overlimits and retention of undersize striped bass. The two men were cited a total of eight times in the last year, and the egregious nature of their poaching activities led wildlife officers to believe they may be selling fish on the black market.
Wildlife officers analyzed the suspects’ citation history and began a focused investigation collecting an abundance of evidence showing that they had made thousands of dollars through the illegal sale of wild-caught striped bass. The investigation culminated in multiple search warrants served Thursday morning where wildlife officers located live crappie and bluegill in an aquarium, frozen striped bass, marijuana and evidence of a marijuana cultivation and sales operation, and methamphetamine and evidence of methamphetamine sales.
Striped bass were introduced to California more than a century ago and quickly became a highly prized game fish throughout California’s Central Valley. Known for its white flaky meat, striped bass are commonly targeted for consumption. Sport fishing activities related to striped bass generate millions of dollars annually to the California economy; however, commercial take of wild caught striped bass was outlawed more than 70 years ago. The continuing demand for wild-caught striped bass gives way to an illegal black market which threatens local bass populations and the legal sport fishery.
“This is another example of the threat that wildlife trafficking places upon a species,” said David Bess, Chief of CDFW’s Law Enforcement Division. “The fish and wildlife of California belong to all the citizens of the state and cannot sustain the abusive greed of traffickers.”
CDFW officers booked both suspects into jail and will seek prosecutions for numerous counts of Fish and Game code violations related to unlawful take and illegal sales, various drug charges, and possible child endangerment. If convicted, the suspects could face several thousands of dollars in fines and penalties, incarceration, forfeiture of assets and equipment and the revocation of their fishing privileges.
Anyone with information about unlawful fishing, hunting or pollution is encouraged to contact CDFW CalTIP, a confidential secret witness program that encourages the public to provide wildlife officers with factual information leading to the arrest of poachers and polluters. The CalTIP number, (888) 334-2258, is printed on the back of every hunting and fishing license. Tips can also be relayed by text to tip411, which allows the public to text message an anonymous tip to wildlife officers and lets the officers respond back creating an anonymous two-way conversation. Anyone with a cell phone may send an anonymous tip to CDFW by texting “CALTIP”, followed by a space and the message, to 847411(tip411). There is also an app for smartphones that works similarly. For more information on the program and the new CalTIP app, please visit